Transaction | Text |
FKKBI_BT_DEL | Delete Billing Orders |
FKKBI_BT_MON | Monitor Billing Orders |
FKKBI_BW_MA | BI Extraction EDRs |
FKKBI_BW_MON | Analysis of BW Extraction Orders |
FKKBI_EDRRJ_MON | Monitor Provisionally Rejected EDRs |
FKKBI_EDRWO_MON | Monitor Permanently Rejected EDRs |
FKKBI_EDR_CLEAN | Clean Up Transfer Period |
FKKBI_EDR_MON | Monitor Billable EDRs |
FKKBI_EDR_RELOAD | Reload Provisionally Rejected EDRs |
FKKBPCL | Process BP Duplicates |
FKKBPCLCLAR | Clarification of BP Duplicates |
FKKBPCLDISP | Display of BP Duplicates |
FKKBPCLIMP | Import of BP Duplicate |
FKKBRFCIMP | BRF: Copy Implementing Classes |
FKKBRFTRANS | BRF:Transport of Application Classes |
FKKCC_MD_CLU | Clean Up Trigger Table |
FKKCC_MD_COM | Comparison of Master Data with SAPCC |
FKKCC_MD_MAN | Manual Master Data Distribution |
FKKCC_MD_MIG | Migration of Master Data to SAP CC |
FKKCC_MD_MON | Master Data Distribution Monitor |
FKKCC_MD_PRC | Replication of Incorr.Dist.Records |
FKKCLERK_CM_CUAGENT | Responsiblity Maintenance for Clerk |
FKKCLERK_CM_CUCENTER | Maintain Department Responsibilities |
FKKCLERK_CM_CUDUNN | Simulate Responsibility for WorkItem |
FKKCLERK_CM_CUUNIT | Maintain Unit Responsibilities |
FKKCLERK_CU_BUSACH | Maintain Posting Responsibilities |
FKKCLERK_CU_MASACH | Maintain Dunning Responsibilities |
FKKCLERK_DN_CUAGENT | Responsiblity Maint. for Specialist |
FKKCLERK_DN_CUCENTER | Maintain Department Responsibilities |
FKKCLERK_DN_CUUNIT | Maintain Unit Responsibilities |
FKKCLERK_RESP | Assign Responsibilities |
FKKCOLL_MONI | Monitor of Collections Services |
FKKCRM_AUTH_CHECK | Dummy: FCC Authorization Check |
FKKCRM_INFO_MOD | Assign Info Module to Profiles |
FKKCRM_INFO_PROF | Define Information Module |
FKKEXC_AGENT | Post Agent Receivable |
FKKEXC_MONI | Monitor for Ext. Cash Desks via XI |
The entry is interrupted by records of crystals:
-- begin --
Record 1
DFT (r²SCAN) results for a geometry-optimized CoF3 structure.

a = 5.1508 Å, b = 5.1343 Å, c = 8.2391 Å
α = 71.85°, β = 107.18°, γ = 89.99°
Closest atoms and distances in Å follow each position.
Element x y z (fractional)
F: 0.8186 0.3177 0.9896  2 Co 1.84-1.92
F: 0.9394 0.9249 0.5056  2 Co 1.84-1.92
F: 0.4311 0.0573 0.5103  2 Co 1.84-1.92
F: 0.1871 0.6863 0.0111  2 Co 1.85-1.92
F: 0.6950 0.8176 0.0063  2 Co 1.85-1.92
F: 0.3687 0.6148 0.7494  2 Co 1.85-1.87
F: 0.0629 0.4471 0.4889  2 Co 1.85-1.92
F: 0.5551 0.5738 0.4936  2 Co 1.85-1.91
F: 0.8813 0.1140 0.7506  2 Co 1.85-1.87
F: 0.6253 0.3602 0.2500  2 Co 1.88
F: 0.1250 0.8994 0.2500  2 Co 1.85
F: 0.3104 0.1807 0.9945  2 Co 1.84-1.92
Co: 0.0033 0.0017 0.0019  6 F 1.84-1.87
Co: 0.7499 0.2490 0.5030  6 F 1.85-1.92
Co: 0.2466 0.7534 0.4981  6 F 1.84-1.87
Co: 0.5001 0.5022 0.9971  6 F 1.85-1.92

Output
- symmetry = C2
- DFT formation energy (eV/atom) = -2.059



Record 2
DFT (r²SCAN) results for a geometry-optimized Np2SO9 structure.

a = 6.4477 Å, b = 6.8279 Å, c = 15.8353 Å
α = 90.00°, β = 90.00°, γ = 90.00°
Closest atoms and distances in Å follow each position.
Element x y z (fractional)
O: 0.4925 0.7500 0.9719  1 S 1.46
O: 0.3220 0.7500 0.7312  1 Np 1.82
O: 0.2050 0.5793 0.5780  1 S 1.48
O: 0.1780 0.7500 0.2312  1 Np 1.82
O: 0.6780 0.2500 0.2688  1 Np 1.82
O: 0.9487 0.0329 0.1493  1 Np 1.94
O: 0.1093 0.2500 0.3829  1 S 1.46
O: 0.7950 0.0793 0.4220  1 S 1.48
O: 0.5513 0.0329 0.6493  1 Np 1.94
O: 0.4487 0.9671 0.3507  1 Np 1.94
O: 0.0513 0.9671 0.8507  1 Np 1.94
O: 0.0661 0.2500 0.0008  1 Np 1.81
O: 0.7050 0.0793 0.9220  1 S 1.48
O: 0.2088 0.2500 0.7099  1 Np 1.80
O: 0.5661 0.7500 0.4992  1 Np 1.81
O: 0.8907 0.7500 0.6171  1 S 1.46
O: 0.2950 0.9207 0.0780  1 S 1.48
O: 0.2950 0.5793 0.0780  1 S 1.48
O: 0.9925 0.2500 0.5281  1 S 1.46
O: 0.4487 0.5329 0.3507  1 Np 1.94
O: 0.4339 0.2500 0.5008  1 Np 1.81
O: 0.7950 0.4207 0.4220  1 S 1.48
O: 0.7912 0.7500 0.2901  1 Np 1.80
O: 0.8220 0.2500 0.7688  1 Np 1.82
O: 0.9339 0.7500 0.9992  1 Np 1.81
O: 0.2050 0.9207 0.5780  1 S 1.48
O: 0.2912 0.2500 0.2099  1 Np 1.80
O: 0.9487 0.4671 0.1493  1 Np 1.94
O: 0.0075 0.7500 0.4719  1 S 1.46
O: 0.7050 0.4207 0.9220  1 S 1.48
O: 0.6093 0.7500 0.1171  1 S 1.46
O: 0.7088 0.7500 0.7901  1 Np 1.80
O: 0.0513 0.5329 0.8507  1 Np 1.94
O: 0.5075 0.2500 0.0281  1 S 1.46
O: 0.3907 0.2500 0.8829  1 S 1.46
O: 0.5513 0.4671 0.6493  1 Np 1.94
Np: 0.4673 0.2500 0.3450  3 O 1.82-1.94
Np: 0.0327 0.2500 0.8450  3 O 1.82-1.94
Np: 0.8212 0.7500 0.8945  2 O 1.80-1.81
Np: 0.6788 0.7500 0.3945  2 O 1.80-1.81
Np: 0.9673 0.7500 0.1550  3 O 1.82-1.94
Np: 0.5327 0.7500 0.6550  3 O 1.82-1.94
Np: 0.1788 0.2500 0.1055  2 O 1.80-1.81
Np: 0.3212 0.2500 0.6055  2 O 1.80-1.81
S: 0.9304 0.2500 0.4396  4 O 1.46-1.48
S: 0.0696 0.7500 0.5604  4 O 1.46-1.48
S: 0.5696 0.2500 0.9396  4 O 1.46-1.48
S: 0.4304 0.7500 0.0604  4 O 1.46-1.48

Output
- symmetry = Pnma
- DFT formation energy (eV/atom) = -2.429



Record 3
-- stop --
FKKEXC_RETRY | Post External Payments (Retry) |
FKKINVBILL_ARCH | Archive Billing Documents |
FKKINVBILL_ARCH_CUS1 | Retention Period: Arch. Billing Docs |
FKKINVBILL_ARCH_CUS2 | Retention Period: Arch. Billing Docs |
FKKINVBILL_ARCH_DEL | Delete Archived Billing Documents |
FKKINVBILL_ARCH_MA | Parallel Archiving Billing Documents |
FKKINVBILL_ARCH_READ | Display Archived Billing Documents |
FKKINVBILL_A_DEL | Delete Billing Additional Data |
FKKINVBILL_DISP | Display Billing Document |
FKKINVBILL_NUM | Number Range for Billing Documents |
FKKINVBILL_REV_M | Mass Reversal of Billing Document |
FKKINVBILL_REV_S | Single Reversal of Billing Document |
FKKINVBILL_REV_S_NEW | Single Reversal of Billing Document |
FKKINVBILL_SIM_DEL | Delete Simulated Billing Documents |
FKKINVDOC_ARCH | Archive Invoicing Documents |
FKKINVDOC_ARCH_CUS1 | Retention Prd of Archived Inv.Doc. |
FKKINVDOC_ARCH_CUS2 | Retention Prd of Archived Inv.Doc. |
FKKINVDOC_ARCH_DEL | Delete Archived Invoicing Documents |
FKKINVDOC_ARCH_MA | Parallel Archiving Invoicing Docs |
FKKINVDOC_ARCH_READ | Display Archived Invoicing Documents |
FKKINVDOC_DISP | Display Invoicing Document |
FKKINVDOC_NUM | Number Range for Invoicing Documents |
FKKINVDOC_SIM_DEL | Deletion of Simulated Invoicing Docs |
FKKINVSRCD_NUM | Number Range of Source Documents |
FKKINV_AUTH_CHECK | Dummy: RFC Authorization Check |
FKKINV_BW_MA | BI Extraction of Invoicing Documents |
FKKINV_BW_MON | Analysis of BW Extraction Orders |
FKKINV_BW_SIM | Individ. Simulation of BW Extraction |
FKKINV_CFC | Clarification Processing: Invoicing |
FKKINV_CFCNUM | Number Range Maintenance: FKKINVCFC |
FKKINV_CYC_MA | Create Periodic Invoicing Orders |
FKKINV_ENH_DEFREV | Create Enhancement: Deferred Revenue |
FKKINV_ENH_OFFSET | Create Enhancemt: Offsetting in Inv. |
FKKINV_M | Mass Invoicing |
FKKINV_MA | Invoicing |
FKKINV_MON | Analysis of Invoicing Orders |
FKKINV_REV_M | Mass Reversal of Invoicing Doc. |
FKKINV_REV_MA | Reversal of Documents |
FKKINV_REV_S | Ind. Reversal of Invoicing Documents |
FKKINV_REV_TASK | Manage Reversal Tasks |
FKKINV_S | Individual Invoicing |
FKKLM | Edit Business Partner Lock |
FKKLS | Display Business Partner Lock |
FKKORD1 | Edit Requests |
FKKORD1_APPR | Check Requests |
FKKORD1_EXT | Display Requests |
FKKORD2 | Edit Standing Requests |
FKKORD2_APPR | Approve Standing Requests |
FKKORD2_EXT | Display Standing Requests |
FKKORD2_YEAREND | Create EF for Standing Request |
FKKORD3 | Edit General Requests |
FKKORD3_APPR | Check General Requests |
FKKORD3_EXT | Display General Requests |
FKKORD4 | Edit Request Templates |
FKKORDA | Approve Request |
FKKORDM | Create Documents from Requests |
FKKORDNR | Number Range Maintenance: FKK_ORD |
FKKRCD1 | Display Change Documents Requests |
FKKS | Contract A/R + A/P |
FKKSK_VATLED | Electronic VAT Ledger |
FKKSK_VATLEDQ | Electronic VAT Ledger Quarter |
FKKSK_VATMNT | Electronic VAT Ledger Maintenance |
FKKSNEW | Contract A/R + A/P |